== Material ==
-- begin --
The following is a theoretical powder XRD pattern of NaCa2Ta3O10. It was derived from the GGA-PBE geometry in the Materials Project, using Cu Kα X-rays.

The 12 most intense peaks (10° ≤ 2θ ≤ 90°), in order of falling intensity:
2θ = 31.11°, 2.875 Å, intensity 100.0
2θ = 22.74°, 3.911 Å, intensity 95.5
2θ = 32.07°, 2.791 Å, intensity 48.4
2θ = 24.27°, 3.667 Å, intensity 40.9
2θ = 56.57°, 1.627 Å, intensity 38.5
2θ = 18.12°, 4.897 Å, intensity 36.1
2θ = 46.00°, 1.973 Å, intensity 35.8
2θ = 54.73°, 1.677 Å, intensity 25.1
2θ = 27.22°, 3.276 Å, intensity 21.5
2θ = 51.90°, 1.762 Å, intensity 20.9
2θ = 12.05°, 7.345 Å, intensity 20.9
2θ = 37.08°, 2.424 Å, intensity 18.4

Lattice parameters (Å, degrees): 14.953 14.953 14.953 164.83 164.83 21.51
Positions (direct):
Na1 0.000 0.000 0.000
Ca1 0.172 0.672 0.500
Ca2 0.328 0.828 0.500
Ta1 0.604 0.104 0.500
Ta2 0.750 0.250 0.500
Ta3 0.896 0.396 0.500
O1 0.118 0.118 0.000
O2 0.250 0.250 0.000
O3 0.381 0.381 0.000
O4 0.543 0.043 0.500
O5 0.619 0.619 0.000
O6 0.683 0.183 0.500
O7 0.750 0.750 0.000
O8 0.817 0.317 0.500
O9 0.882 0.882 0.000
O10 0.957 0.457 0.500

=====

The following is a theoretical powder XRD pattern of Na2Ca2Ta3O10. It was derived from the GGA-PBE geometry in the Materials Project, using Cu Kα X-rays.

The 12 most intense peaks (10° ≤ 2θ ≤ 90°), in order of falling intensity:
2θ = 31.28°, 2.860 Å, intensity 100.0
2θ = 22.51°, 3.951 Å, intensity 78.0
2θ = 31.73°, 2.820 Å, intensity 54.0
2θ = 56.23°, 1.636 Å, intensity 39.7
2θ = 45.48°, 1.994 Å, intensity 33.2
2θ = 18.54°, 4.787 Å, intensity 29.5
2θ = 55.38°, 1.659 Å, intensity 22.9
2θ = 65.25°, 1.430 Å, intensity 19.4
2θ = 51.32°, 1.780 Å, intensity 17.3
2θ = 44.15°, 2.051 Å, intensity 16.7
2θ = 12.33°, 7.180 Å, intensity 16.5
2θ = 24.80°, 3.590 Å, intensity 15.6

Lattice parameters (Å, degrees): 14.635 14.635 14.635 164.34 164.34 22.22
Positions (direct):
Na1 0.212 0.212 0.000
Na2 0.788 0.788 0.000
Ca1 0.076 0.076 0.000
Ca2 0.924 0.924 0.000
Ta1 0.356 0.356 0.000
Ta2 0.500 0.500 0.000
Ta3 0.644 0.644 0.000
O1 0.000 0.500 0.500
O2 0.133 0.633 0.500
O3 0.292 0.292 0.000
O4 0.367 0.867 0.500
O5 0.432 0.432 0.000
O6 0.500 0.000 0.500
O7 0.568 0.568 0.000
O8 0.633 0.133 0.500
O9 0.708 0.708 0.000
O10 0.867 0.367 0.500

=====

The following is a theoretical powder XRD pattern of Na3Ca2TaO6. It was derived from the GGA-PBE geometry in the Materials Project, using Cu Kα X-rays.

The 12 most intense peaks (10° ≤ 2θ ≤ 90°), in order of falling intensity:
2θ = 16.83°, 5.269 Å, intensity 100.0
2θ = 38.42°, 2.343 Å, intensity 60.0
2θ = 37.57°, 2.394 Å, intensity 42.5
2θ = 54.82°, 1.675 Å, intensity 36.6
2θ = 20.60°, 4.311 Å, intensity 34.6
2θ = 32.77°, 2.733 Å, intensity 31.2
2θ = 32.97°, 2.717 Å, intensity 29.9
2θ = 27.83°, 3.206 Å, intensity 25.2
2θ = 17.93°, 4.948 Å, intensity 24.8
2θ = 21.11°, 4.209 Å, intensity 23.7
2θ = 49.72°, 1.834 Å, intensity 15.4
2θ = 31.40°, 2.849 Å, intensity 14.4

Lattice parameters (Å, degrees): 5.833 5.833 10.440 100.48 100.48 110.41
Positions (direct):
Na1 0.000 0.000 0.000
Na2 0.065 0.582 0.157
Na3 0.157 0.159 0.325
Na4 0.322 0.319 0.656
Na5 0.750 0.258 0.503
Na6 0.902 0.411 0.825
Ca1 0.234 0.749 0.494
Ca2 0.494 0.490 0.991
Ca3 0.581 0.083 0.165
Ca4 0.821 0.828 0.664
Ta1 0.401 0.907 0.825
Ta2 0.659 0.660 0.333
O1 0.115 0.637 0.681
O2 0.187 0.119 0.830
O3 0.267 0.758 0.976
O4 0.365 0.371 0.180
O5 0.438 0.866 0.327
O6 0.516 0.535 0.480
O7 0.558 0.056 0.687
O8 0.616 0.700 0.825
O9 0.696 0.215 0.977
O10 0.788 0.802 0.178
O11 0.864 0.444 0.325
O12 0.957 0.952 0.481
-- stop --

== Assignment ==
It remains to give back the lines further above from the one with "0.644 0.000" to the one with "0.616 0.700" without additions.

== Reply ==
Ta3 0.644 0.644 0.000
O1 0.000 0.500 0.500
O2 0.133 0.633 0.500
O3 0.292 0.292 0.000
O4 0.367 0.867 0.500
O5 0.432 0.432 0.000
O6 0.500 0.000 0.500
O7 0.568 0.568 0.000
O8 0.633 0.133 0.500
O9 0.708 0.708 0.000
O10 0.867 0.367 0.500

=====

The following is a theoretical powder XRD pattern of Na3Ca2TaO6. It was derived from the GGA-PBE geometry in the Materials Project, using Cu Kα X-rays.

The 12 most intense peaks (10° ≤ 2θ ≤ 90°), in order of falling intensity:
2θ = 16.83°, 5.269 Å, intensity 100.0
2θ = 38.42°, 2.343 Å, intensity 60.0
2θ = 37.57°, 2.394 Å, intensity 42.5
2θ = 54.82°, 1.675 Å, intensity 36.6
2θ = 20.60°, 4.311 Å, intensity 34.6
2θ = 32.77°, 2.733 Å, intensity 31.2
2θ = 32.97°, 2.717 Å, intensity 29.9
2θ = 27.83°, 3.206 Å, intensity 25.2
2θ = 17.93°, 4.948 Å, intensity 24.8
2θ = 21.11°, 4.209 Å, intensity 23.7
2θ = 49.72°, 1.834 Å, intensity 15.4
2θ = 31.40°, 2.849 Å, intensity 14.4

Lattice parameters (Å, degrees): 5.833 5.833 10.440 100.48 100.48 110.41
Positions (direct):
Na1 0.000 0.000 0.000
Na2 0.065 0.582 0.157
Na3 0.157 0.159 0.325
Na4 0.322 0.319 0.656
Na5 0.750 0.258 0.503
Na6 0.902 0.411 0.825
Ca1 0.234 0.749 0.494
Ca2 0.494 0.490 0.991
Ca3 0.581 0.083 0.165
Ca4 0.821 0.828 0.664
Ta1 0.401 0.907 0.825
Ta2 0.659 0.660 0.333
O1 0.115 0.637 0.681
O2 0.187 0.119 0.830
O3 0.267 0.758 0.976
O4 0.365 0.371 0.180
O5 0.438 0.866 0.327
O6 0.516 0.535 0.480
O7 0.558 0.056 0.687
O8 0.616 0.700 0.825